
I can’t remember how this song popped out of me (except that I was definitely awake at the time!), but it’s one of those tunes that came quickly and seemed to form itself.  I love the title word and back in 2006 when I wrote this there was a local band named Sweetheart that may’ve played a role in inspiring me to blurt it out over a country-ish C-chord.  The chord progression progressed of its own accord, and words clung to the obvious melody fairly easily to construct the verses (with a little help from my friends the Beatles, borrowing phrases like “Two of us” and “Love you more”).  For me, the magic moment was later that day when I played what I had for Brandy: after the first two verses I spontaneously jumped to the relative minor and sang, quite literally, “And when you’re sitting in front of me…” – and next thing we knew I had a full song, and the feeling that indeed “everything will be … Alright.” 

The first time I played it for Eric, he said, “That’s a Top Drawers song!” and so it became.  The boys in that band added sweet back-ups and a full band arrangement that really brought out the dynamics, especially the percussive rhythm of that chorus.  We’ve performed this one many times, and it’s being released on the second Drawers album which (due to a series of delays) will be coming out after this one.  Awkward timing perhaps, but again, I had to have this song on my personal love album – I mean, I literally wrote the chorus with Brandy sitting right in front of me – inspiration doesn’t get much more direct than that!  Of course, I made sure the EastVangelicals version would be different, a slower, more intimate take on the song that with the Top Drawers jumps out as a rockin’ power-pop number.

Sweetheart, you know you got me
   Coming back for more, 
when I’m looking for love
I’m gonna walk right through 
# Crystal structures from another source follow
+++
# PmTm

An optimized crystal structure of PmTm (PBE-GGA, the Materials Project).

Values from the calculation:
Its crystal system is hexagonal.

a b c (Å): 3.6051 3.6051 5.7961
angles (deg): 90.00 90.00 120.00
Closest atoms and distances in Å follow each position.
Positions (direct):
Pm1 0.0000 0.0000 0.0000  6 Tm 3.57, 6 Pm 3.61
Tm1 0.6667 0.3333 0.5000  6 Pm 3.57, 6 Tm 3.61


# Na2MgH20S2O18

An optimized crystal structure of Na2MgH20S2O18 (PBE-GGA, the Materials Project).

Values from the calculation:
Its crystal system is monoclinic.

a b c (Å): 12.7114 6.5125 10.1917
angles (deg): 90.00 106.34 90.00
Closest atoms and distances in Å follow each position.
Positions (direct):
Na1 0.0190 0.2441 0.1033  6 O 2.40-2.60
Na2 0.0190 0.2559 0.6033  6 O 2.40-2.60
Na3 0.9810 0.7441 0.3967  6 O 2.40-2.60
Na4 0.9810 0.7559 0.8967  6 O 2.40-2.60
Mg1 0.5000 0.0000 0.5000  6 O 2.05-2.15
Mg2 0.5000 0.5000 0.0000  6 O 2.05-2.15
H1 0.1132 0.6937 0.6756  1 O 0.99
H2 0.1132 0.8063 0.1756  1 O 0.99
H3 0.1421 0.1132 0.4086  1 O 0.99
H4 0.1421 0.3868 0.9086  1 O 0.99
H5 0.1664 0.5752 0.5746  1 O 0.98
H6 0.1664 0.9248 0.0746  1 O 0.98
H7 0.1725 0.5218 0.0404  1 O 0.98
H8 0.1725 0.9782 0.5404  1 O 0.98
H9 0.3032 0.0675 0.3138  1 O 0.99
H10 0.3032 0.4325 0.8138  1 O 0.99
H11 0.3343 0.6713 0.8000  1 O 0.99
H12 0.3343 0.8287 0.3000  1 O 0.99
H13 0.3627 0.0780 0.6566  1 O 1.00
H14 0.3627 0.4220 0.1566  1 O 1.00
H15 0.3649 0.2196 0.0688  1 O 0.99
H16 0.3649 0.2804 0.5688  1 O 0.99
H17 0.3996 0.6480 0.5478  1 O 1.00
H18 0.3996 0.8520 0.0478  1 O 1.00
H19 0.4959 0.7071 0.6824  1 O 0.98
H20 0.4959 0.7929 0.1824  1 O 0.98
H21 0.5041 0.2071 0.8176  1 O 0.98
H22 0.5041 0.2929 0.3176  1 O 0.98
H23 0.6004 0.1480 0.9522  1 O 1.00
H24 0.6004 0.3520 0.4522  1 O 1.00
H25 0.6351 0.7196 0.4312  1 O 0.99
H26 0.6351 0.7804 0.9312  1 O 0.99
H27 0.6373 0.5780 0.8434  1 O 1.00
H28 0.6373 0.9220 0.3434  1 O 1.00
H29 0.6657 0.1713 0.7000  1 O 0.99
H30 0.6657 0.3287 0.2000  1 O 0.99
H31 0.6968 0.5675 0.1862  1 O 0.99
H32 0.6968 0.9325 0.6862  1 O 0.99
H33 0.8275 0.0218 0.4596  1 O 0.98
H34 0.8275 0.4782 0.9596  1 O 0.98
H35 0.8336 0.0752 0.9254  1 O 0.98
H36 0.8336 0.4248 0.4254  1 O 0.98
H37 0.8579 0.6132 0.0914  1 O 0.99
H38 0.8579 0.8868 0.5914  1 O 0.99
H39 0.8868 0.1937 0.8244  1 O 0.99
H40 0.8868 0.3063 0.3244  1 O 0.99
S1 0.2243 0.0158 0.8314  4 O 1.49-1.50
S2 0.2243 0.4842 0.3314  4 O 1.49-1.50
S3 0.7757 0.5158 0.6686  4 O 1.49-1.50
S4 0.7757 0.9842 0.1686  4 O 1.49-1.50
O1 0.0980 0.5931 0.6004  2 H 0.98-0.99
O2 0.0980 0.9069 0.1004  2 H 0.98-0.99
O3 0.1099 0.0368 0.4718  2 H 0.98-0.99
O4 0.1099 0.4632 0.9718  2 H 0.98-0.99
O5 0.1187 0.5974 0.2989  1 S 1.49
O6 0.1187 0.9026 0.7989  1 S 1.49
O7 0.2023 0.2381 0.7966  1 S 1.50
O8 0.2023 0.2619 0.2966  1 S 1.50
O9 0.2834 0.5034 0.4807  1 S 1.50
O10 0.2834 0.9966 0.9807  1 S 1.50
O11 0.2936 0.5720 0.2473  1 S 1.50
O12 0.2936 0.9280 0.7473  1 S 1.50
O13 0.3640 0.5335 0.8315  2 H 0.99
O14 0.3640 0.9665 0.3315  2 H 0.99
+++
   your open door
Oh no, it’s coming over
Me again, I can’t stop 
   letting you in,
Along the way I’ve grown
   to love you more
         And when you’re sitting
            in front of me
         I know everything will
            be alright, darling
You know me better than I’ve
Ever let someone know me before
You look into my eyes
   and know the score
They’ve got nothing on us,
You and me, we’ve made it
   what we want it to be –
It’s just the two of us,
   and I love you more
         And when you’re sitting
            in front of me
         I know everything will
            be alright, darling
Sweetheart, you know you got me
Coming back for more
   I couldn’t help myself
I went and fell right in love
          With you...